Exercise Requirements: High exercise requirements (daily or regular exercise of at least 3 hours)

Living conditions: In apartment

Data records, as found in the file.
Computed powder diffractogram
Compound: PmSm2Y6Er2
Radiation: Cu Kα (weighted mean of Kα1 and Kα2)
Structure: a structure optimized by DFT (PBE)
Peak positions follow from Bragg's law for the DFT cell and can differ from measured ones.

Top 8 peaks for 10 to 90 degrees two-theta, low angle first:
30.6 deg, 2.922 Å, rel. 24; 30.9 deg, 2.895 Å, rel. 20; 31.4 deg, 2.847 Å, rel. 37; 32.1 deg, 2.792 Å, rel. 100; 33.7 deg, 2.663 Å, rel. 20; 44.6 deg, 2.030 Å, rel. 14; 46.7 deg, 1.945 Å, rel. 16; 56.3 deg, 1.633 Å, rel. 20

Crystal structure
```
PmSm2Y6Er2
1.0
2.847 -6.016 0.000
2.847 6.016 0.000
0.000 0.000 10.651
Pm Sm Y Er
1 2 6 2
Cartesian
0.000 0.000 0.000 Pm
2.847 1.629 5.326 Sm
2.847 -1.629 5.326 Sm
2.847 4.164 3.083 Y
2.847 4.164 7.568 Y
2.847 0.000 2.234 Y
2.847 0.000 8.417 Y
2.847 -4.164 3.083 Y
2.847 -4.164 7.568 Y
2.847 2.439 0.000 Er
2.847 -2.439 0.000 Er
```
The data records stop here.


The Jack Russell Terrier is a lively and active dog. Going to buy such a puppy, prepare for long and active walks with various games and training. They are very friendly and difficult to make them aggressive. However, it is better to let children from the age of 10-12, as dogs are quite indifferent to them. And think about whether you can give this dog maximum love and affection, otherwise this terrier will feel lonely. He is wary of strangers. Avoid breeders because they will fight and quarrel – they are jealous of their territory. Early socialization of the terrier is necessary. The Jack Russell may be aggressive to other animals, especially cats. Small animals, particularly rabbits and ornamental rats, may also be harmed by him. The Jack Russell Terrier is tough, hardy, and reliable looking. They are sociable and have an inquisitive nature. The Jack Russell Terrier is a loving and loyal breed. They are energetic, lively, and funny. They are not recommended for children under the age of eight. They do not get along with other pets. Their natural hunting instinct brings out their aggressive nature. They are very intelligent and brave. Their courage often leads them into dangerous situations that can be fatal. The Jack Russell Terrier requires tremendous human attention.


The Jack Russell Terrier is good in that it can be kept both in a country house and in an apartment. The apartment should have enough space for the release of energy. The Jack Russell requires a lot of mental and physical stimulation every day. He is not a dog that can sit at home. He needs long walks or strenuous play every day, plus a short workout. They tend to be overweight, so feeding must be handled responsibly. They need regular brushing with hard bristles. Bathing should only be done when necessary. An apartment dog will shed almost constantly, so they need to be brushed regularly with a stiff mitt. The Jack Russell Terrier does not need to be bathed often because its coat structure repels dirt. After a walk, wipe his paws and soiling areas with special cleansing cloths or a damp towel. When bathing, make sure that water does not get into the ears, dogs can be bathed once a month. Bitches should be bathed after they finish their heat. To prevent parasites, use a tick and flea repellent and carry out deworming treatments at regular intervals.


With natural feeding, most of the diet should consist of animal products (meat and milk). Only one fourth of the ration consists of oatmeal, fruit and vegetables. The ration should be varied: milk porridge, meat (preferably beef) with porridge, cottage cheese, soup or omelette, fruit and vegetable salad. Until the age of four months, the puppy is fed six times. Under no circumstances should you overfeed a puppy, even if he has a vicious appetite! He’ll start to grow tall and heavy – this can lead to problems with his legs and bones. At nine months old it’s imperative he’s switched to two meals a day.


Osteochondropathy of the femoral head (Perthes disease) in 4-10 month old puppies will show up with a limp or lameness; patella dislocation; hip dysplasia, though the risk group mostly includes large breeds, not excluding terriers;
heart disease;
hereditary defects of the sclera, vasculature, retina, optic nerve and retinal vessels – the so-called collie eye anomaly.